**Activity**
It remains to find the line below that holds "_cell_length_c 9.161", then write out that line and all lines after it there.

**Entries**
Entry 1:
First-principles (meta-GGA r2SCAN) data for an optimized crystal structure of Y6PdBr10, as listed in the Materials Project.

Results
E_tot, eV/cell: -308.44
Mass density, g cm⁻³: 4.386
Calculated volume, Å³/atom: 32.04
Formation energy, eV per atom: -1.824

Structure (CIF):
```
data_Y6PdBr10
_chemical_formula_sum 'Y6 Pd1 Br10'
_cell_length_a 7.291
_cell_length_b 9.134
_cell_length_c 9.161
_cell_angle_alpha 108.14
_cell_angle_beta 96.95
_cell_angle_gamma 105.48
_space_group_name_H-M_alt 'P -1'
_space_group_IT_number 2
loop_
_space_group_symop_operation_xyz
'x,y,z'
'-x,-y,-z'
loop_
_atom_site_label
_atom_site_fract_x
_atom_site_fract_y
_atom_site_fract_z
Y1 0.029 0.196 0.404
Y2 0.127 0.546 0.249
Y3 0.367 0.639 0.682
Pd1 0.000 0.500 0.500
Br1 0.088 0.872 0.323
Br2 0.213 0.238 0.146
Br3 0.258 0.585 0.962
Br4 0.358 0.960 0.775
Br5 0.451 0.319 0.587
```

***

Entry 2:
First-principles (meta-GGA r2SCAN) data for an optimized crystal structure of NdCu2Si2, as listed in the Materials Project.

Results
E_tot, eV/cell: -143.60
Mass density, g cm⁻³: 6.659
Calculated volume, Å³/atom: 16.33
Formation energy, eV per atom: -0.628

Structure (CIF):
```
data_NdCu2Si2
_chemical_formula_sum 'Nd2 Cu4 Si4'
_cell_length_a 4.069
_cell_length_b 4.069
_cell_length_c 9.866
_cell_angle_alpha 90.00
_cell_angle_beta 90.00
_cell_angle_gamma 90.00
_space_group_name_H-M_alt 'I 4/m m m'
_space_group_IT_number 139
_space_group_name_Hall '-I 4 2'
loop_
_atom_site_label
_atom_site_fract_x
_atom_site_fract_y
_atom_site_fract_z
Nd1 0.000 0.000 0.000
Cu1 0.000 0.500 0.250
Si1 0.000 0.000 0.378
```

***

Entry 3:
First-principles (meta-GGA r2SCAN) data for an optimized crystal structure of BaPPd, as listed in the Materials Project.

Results
E_tot, eV/cell: -246.45
Mass density, g cm⁻³: 5.960
Calculated volume, Å³/atom: 25.51
Formation energy, eV per atom: -1.050

Structure (CIF):
```
data_BaPPd
_chemical_formula_sum 'Ba4 P4 Pd4'
_cell_length_a 6.321
_cell_length_b 7.806
_cell_length_c 7.893
_cell_angle_alpha 90.00
_cell_angle_beta 128.17
_cell_angle_gamma 90.00
_space_group_name_H-M_alt 'P 1 21/c 1'
_space_group_IT_number 14
loop_
_space_group_symop_operation_xyz
'x,y,z'
'-x,-y,-z'
'-x,y+1/2,-z+1/2'
'x,-y+1/2,z+1/2'
loop_
_atom_site_label
_atom_site_fract_x
_atom_site_fract_y
_atom_site_fract_z
Ba1 0.132 0.020 0.317
P1 0.426 0.673 0.638
Pd1 0.497 0.623 0.378
```

***

Entry 4:
First-principles (meta-GGA r2SCAN) data for an optimized crystal structure of La4PtO7, as listed in the Materials Project.

Results
E_tot, eV/cell: -251.06
Mass density, g cm⁻³: 7.672
Calculated volume, Å³/atom: 15.56
Formation energy, eV per atom: -3.232

Structure (CIF):
```
data_La4PtO7
_chemical_formula_sum 'La4 Pt1 O7'
_cell_length_a 4.031
_cell_length_b 7.019
_cell_length_c 7.182
_cell_angle_alpha 83.20
_cell_angle_beta 73.73
_cell_angle_gamma 73.31
_space_group_name_H-M_alt 'P 1'
_space_group_IT_number 1
loop_
_space_group_symop_operation_xyz
'x,y,z'
loop_
_atom_site_label
_atom_site_fract_x
_atom_site_fract_y
_atom_site_fract_z
La1 0.000 0.000 0.000
La2 0.164 0.438 0.231
La3 0.665 0.117 0.550
La4 0.829 0.563 0.777
Pt1 0.417 0.775 0.385
O1 0.046 0.210 0.696
O2 0.210 0.633 0.946
O3 0.326 0.064 0.279
O4 0.506 0.487 0.495
O5 0.617 0.929 0.837
O6 0.784 0.346 0.083
O7 0.904 0.760 0.426
```

***

Entry 5:
First-principles (meta-GGA r2SCAN) data for an optimized crystal structure of La5C2I9, as listed in the Materials Project.

Results
E_tot, eV/cell: -829.05
Mass density, g cm⁻³: 5.245
Calculated volume, Å³/atom: 36.82
Formation energy, eV per atom: -1.555

Structure (CIF):
```
data_La5C2I9
_chemical_formula_sum 'La10 C4 I18'
_cell_length_a 8.148
_cell_length_b 10.249
_cell_length_c 14.567
_cell_angle_alpha 79.46
_cell_angle_beta 80.61
_cell_angle_gamma 85.26
_space_group_name_H-M_alt 'P -1'
_space_group_IT_number 2
loop_
_space_group_symop_operation_xyz
'x,y,z'
'-x,-y,-z'
loop_
_atom_site_label
_atom_site_fract_x
_atom_site_fract_y
_atom_site_fract_z
La1 0.050 0.464 0.325

**Reply**
_cell_length_c 9.161
_cell_angle_alpha 108.14
_cell_angle_beta 96.95
_cell_angle_gamma 105.48
_space_group_name_H-M_alt 'P -1'
_space_group_IT_number 2
loop_
_space_group_symop_operation_xyz
'x,y,z'
'-x,-y,-z'
loop_
_atom_site_label
_atom_site_fract_x
_atom_site_fract_y
_atom_site_fract_z
Y1 0.029 0.196 0.404
Y2 0.127 0.546 0.249
Y3 0.367 0.639 0.682
Pd1 0.000 0.500 0.500
Br1 0.088 0.872 0.323
Br2 0.213 0.238 0.146
Br3 0.258 0.585 0.962
Br4 0.358 0.960 0.775
Br5 0.451 0.319 0.587
```

***

Entry 2:
First-principles (meta-GGA r2SCAN) data for an optimized crystal structure of NdCu2Si2, as listed in the Materials Project.

Results
E_tot, eV/cell: -143.60
Mass density, g cm⁻³: 6.659
Calculated volume, Å³/atom: 16.33
Formation energy, eV per atom: -0.628

Structure (CIF):
```
data_NdCu2Si2
_chemical_formula_sum 'Nd2 Cu4 Si4'
_cell_length_a 4.069
_cell_length_b 4.069
_cell_length_c 9.866
_cell_angle_alpha 90.00
_cell_angle_beta 90.00
_cell_angle_gamma 90.00
_space_group_name_H-M_alt 'I 4/m m m'
_space_group_IT_number 139
_space_group_name_Hall '-I 4 2'
loop_
_atom_site_label
_atom_site_fract_x
_atom_site_fract_y
_atom_site_fract_z
Nd1 0.000 0.000 0.000
Cu1 0.000 0.500 0.250
Si1 0.000 0.000 0.378
```

***

Entry 3:
First-principles (meta-GGA r2SCAN) data for an optimized crystal structure of BaPPd, as listed in the Materials Project.

Results
E_tot, eV/cell: -246.45
Mass density, g cm⁻³: 5.960
Calculated volume, Å³/atom: 25.51
Formation energy, eV per atom: -1.050

Structure (CIF):
```
data_BaPPd
_chemical_formula_sum 'Ba4 P4 Pd4'
_cell_length_a 6.321
_cell_length_b 7.806
_cell_length_c 7.893
_cell_angle_alpha 90.00
_cell_angle_beta 128.17
_cell_angle_gamma 90.00
_space_group_name_H-M_alt 'P 1 21/c 1'
_space_group_IT_number 14
loop_
_space_group_symop_operation_xyz
'x,y,z'
'-x,-y,-z'
'-x,y+1/2,-z+1/2'
'x,-y+1/2,z+1/2'
loop_
_atom_site_label
_atom_site_fract_x
_atom_site_fract_y
_atom_site_fract_z
Ba1 0.132 0.020 0.317
P1 0.426 0.673 0.638
Pd1 0.497 0.623 0.378
```

***

Entry 4:
First-principles (meta-GGA r2SCAN) data for an optimized crystal structure of La4PtO7, as listed in the Materials Project.

Results
E_tot, eV/cell: -251.06
Mass density, g cm⁻³: 7.672
Calculated volume, Å³/atom: 15.56
Formation energy, eV per atom: -3.232

Structure (CIF):
```
data_La4PtO7
_chemical_formula_sum 'La4 Pt1 O7'
_cell_length_a 4.031
_cell_length_b 7.019
_cell_length_c 7.182
_cell_angle_alpha 83.20
_cell_angle_beta 73.73
_cell_angle_gamma 73.31
_space_group_name_H-M_alt 'P 1'
_space_group_IT_number 1
loop_
_space_group_symop_operation_xyz
'x,y,z'
loop_
_atom_site_label
_atom_site_fract_x
_atom_site_fract_y
_atom_site_fract_z
La1 0.000 0.000 0.000
La2 0.164 0.438 0.231
La3 0.665 0.117 0.550
La4 0.829 0.563 0.777
Pt1 0.417 0.775 0.385
O1 0.046 0.210 0.696
O2 0.210 0.633 0.946
O3 0.326 0.064 0.279
O4 0.506 0.487 0.495
O5 0.617 0.929 0.837
O6 0.784 0.346 0.083
O7 0.904 0.760 0.426
```

***

Entry 5:
First-principles (meta-GGA r2SCAN) data for an optimized crystal structure of La5C2I9, as listed in the Materials Project.

Results
E_tot, eV/cell: -829.05
Mass density, g cm⁻³: 5.245
Calculated volume, Å³/atom: 36.82
Formation energy, eV per atom: -1.555

Structure (CIF):
```
data_La5C2I9
_chemical_formula_sum 'La10 C4 I18'
_cell_length_a 8.148
_cell_length_b 10.249
_cell_length_c 14.567
_cell_angle_alpha 79.46
_cell_angle_beta 80.61
_cell_angle_gamma 85.26
_space_group_name_H-M_alt 'P -1'
_space_group_IT_number 2
loop_
_space_group_symop_operation_xyz
'x,y,z'
'-x,-y,-z'
loop_
_atom_site_label
_atom_site_fract_x
_atom_site_fract_y
_atom_site_fract_z
La1 0.050 0.464 0.325